2015 Legislative Session
Indiana University Office of State Relations
State House Report 6
As expected, last week was the busiest week yet as numerous bills were heard in committee. The State Relations Team spent many hours in both the House and Senate Education Committee, the Senate Appropriations and House Ways and Means Committee, and the Senate Public Health and Providers committee. With more bills being considered on the floor of the House and Senate, we are also spending more time reviewing 2nd reading amendments that have been filed on bills that we are tracking.
Bills that Moved Last Week
HB 1042 Education Loan Information: The bill, which the author based upon the success of Indiana University’s loan notification program, requires colleges and universities that enroll students who receive state financial aid to provide each student with certain information concerning the student’s educational loans on an annual basis. The passed the House.
HB 1102 Patent Protection: The bill prohibits a person from asserting a claim of patent infringement in bad faith. Indiana University worked with the bill’s author to amend the bill to help licensees holding certain patents related to an approved postsecondary educational institution or a technology transfer organization owned by or affiliated with such institution to bring legitimate claims of patent infringement. Brion St Armour, Head of Intellectual Property for the IU Research and Technology Corporation, testified in support of the amended bill in the House Judiciary Committee. The bill was amended in committee passed a 2nd reading. The bill is now eligible for a 3rd reading on the House floor.
• Inserted here: molecular data:
********
The following is a DFT calculation (ωB97M-V with the def2-TZVPD basis set) of a 10-piece molecular cluster, C9H38O10 overall in a non-equilibrium geometry.

Computed properties:
electronic energy = -30423.1191 eV
net charge = -1
LUMO level (spin up / spin down) = 1.94 / 1.86 eV
gap between HOMO and LUMO (spin up / spin down) = 1.97 / 9.26 eV
relative energy (zero: lowest compared OMol25 entry of this formula, charge and spin) = 1.210 eV
spin multiplicity = 2
strongest force on any atom = 2.84 eV Å⁻¹

Bonds (Å) are listed after each position.
Geometry (Å):
1 O -8.3844 14.0451 -1.9998  H2 0.957, H3 0.957
2 H -9.0155 14.7424 -2.1780  O1 0.957
3 H -7.9314 14.3286 -1.2057  O1 0.957
4 O -14.9605 13.0258 -0.7868  H5 0.957, H6 0.957
5 H -15.0340 13.8301 -0.2730  O4 0.957
6 H -15.1385 13.2989 -1.6868  O4 0.957
7 O -8.8153 18.4534 -1.6454  H8 0.957, H9 0.957
8 H -8.4959 19.3514 -1.7331  O7 0.957
9 H -8.0547 17.9565 -1.3438  O7 0.957
10 O -15.0201 14.2905 -3.1764  H11 0.957, H12 0.957
11 H -15.5520 14.9790 -2.7772  O10 0.957
12 H -14.8924 14.5794 -4.0800  O10 0.957
13 O -9.0226 15.8132 -5.1646  H14 0.957, H15 0.957
14 H -9.5583 15.8061 -4.3714  O13 0.957
15 H -9.5968 16.1769 -5.8386  O13 0.957
16 O -11.0816 19.2864 -0.4423  H17 0.957, H18 0.957
17 H -10.3446 18.8524 -0.8722  O16 0.957
18 H -11.2499 20.0611 -0.9787  O16 0.957
19 O -10.7561 16.7173 -7.1979  H20 0.957, H21 0.957
20 H -11.5605 17.2340 -7.2450  O19 0.957
21 H -10.0571 17.3439 -7.3846  O19 0.957
22 C -11.6853 15.5473 -1.2867  C23 1.485, H26 1.090, H27 1.090, H28 1.090
23 C -11.1366 15.6907 -2.6594  C22 1.485, C24 1.490, O25 1.410, H29 1.090
24 C -11.7151 16.8470 -3.4001  C23 1.490, H30 1.090, H31 1.090, H32 1.090
25 O -9.7772 16.0641 -2.6251  C23 1.410, H33 0.960
26 H -11.0764 14.8055 -0.7699  C22 1.090
27 H -12.7303 15.2572 -1.3961  C22 1.090
28 H -11.7577 16.4930 -0.7495  C22 1.090
29 H -11.3164 14.8422 -3.3195  C23 1.090
30 H -11.1312 17.0597 -4.2957  C24 1.090
31 H -11.7285 17.7036 -2.7263  C24 1.090
32 H -12.7480 16.5623 -3.6006  C24 1.090
33 H -9.7870 16.9728 -2.3155  O25 0.960
34 C -13.1662 20.4925 -4.4961  C35 1.527, H38 1.090, H39 1.090, H40 1.090
35 C -14.2442 19.5473 -3.9695  C34 1.527, C36 1.471, O37 1.416, H41 1.090
36 C -15.0903 20.2171 -2.9705  C35 1.471, H42 1.090, H43 1.090, H44 1.090
37 O -14.9387 19.0545 -5.1007  C35 1.416, H45 0.960
38 H -13.5686 21.1118 -5.2977  C34 1.090
39 H -12.3708 19.9514 -5.0087  C34 1.090
40 H -12.7861 21.1056 -3.6790  C34 1.090
41 H -13.7209 18.7331 -3.4682  C35 1.090
42 H -15.7415 19.4823 -2.4970  C36 1.090
43 H -15.7723 20.9518 -3.3985  C36 1.090
44 H -14.5645 20.7420 -2.1729  C36 1.090
45 H -15.5180 18.3471 -4.8081  O37 0.960
46 C -13.0023 11.4684 -4.5460  C47 1.589, H50 1.090, H51 1.090, H52 1.090
47 C -11.5451 11.8142 -4.0147  C46 1.589, C48 1.541, O49 1.433, H53 1.090
48 C -11.5084 12.0414 -2.4909  C47 1.541, H54 1.090, H55 1.090, H56 1.090
49 O -10.7281 10.6605 -4.2470  C47 1.433, H57 0.960
50 H -12.9366 11.3285 -5.6249  C46 1.090
********
HB 1262 Return and Complete Grant Program: The bill would establish a grant fund to provide awards for Indiana residents who were previously enrolled in an Indiana postsecondary institution and earned some college credit, but had not yet earned an associate or baccalaureate degree. The student would receive the grant upon completion of an associate or baccalaureate degree program. The bill was amended in committee to require institutions to either conduct targeted outreach to eligible students or to provide student record data to the Commission for Higher Education for us in targeted outreach. The bill passed out of the House Education Committee and was recommitted to the House Ways and Means Committee due to its budgetary impact.
HB 1231 Accelerated Degree Program: The bill would provide a new financial assistance award for students who participate in an accelerated degree program and graduate within 36 months. Subsequent to its earlier passage in the House Education Committee, it was given further reconsideration by the House Ways and Means Committee due to its budgetary impact and was passed by the Committee.
HB 1323 Graduate Medical Education: The bill would establishes the medical residency education fund for the purpose of expanding the number of funded residencies slots in Indiana. With the 30% expansion in class size at the IU School of Medicine, IU supports the bill and testified at a hearing in the House Ways and Means Committee. The bill was amended and approved by the Committee and is now eligible for 2nd reading.
HB 1457 Higher Education: The bill, supported by IU and Purdue, would permit IU, Purdue as well as Ball State to hold equity in a private entity whose purpose is related to the benefit of students. The bill would also provide these institutions with the ability to merge or discontinue certain university based centers without court intervention. Finally, the bill would permit the same institutions to establish university innovation districts, which would be very similar to Certified Technology Parks, to generate funds for investing in research and technology transfer activities. The bill was heard in committee and both IU and Purdue testified in support.
HB 1641 Principal Endorsement Program: The bill would require Western Governors University Indiana to establish and maintain a program of study to provide principal endorsements to individuals who successfully complete the program. The bill was heard in the House Education Committee.
SB 434 Veterans Tuition and Financial Assistance: The bill would require institutions to extend resident tuition to graduate programs to non-resident students who are serving in the Indiana National Guard members. After previously being hear in the Senate Veterans Affairs and Military Committee, the bill was amended in the Senate Appropriations Committee and is now eligible for 2nd reading on the Senate floor.
SB 492 Various Pension Matters: The bill applies to entities which established a new pension plan for certain new employees while freezing participation in the state’s Public Employee Retirement System (PERF). The bill would require such entities, including IU, to make additional payments to the state to cover any increases in unfunded liability that results from freezing enrollment in PERF. The bill was amended on 2nd reading and passed the Senate.
SB 496 Primary Care Loan Forgiveness: The bill, which would provide an enhanced loan forgiveness grant (if funding is provided in the biennial budget) to primary care physicians serving in rural areas of Indiana, was heard in the Public Health and Provider Services committee and IU testified in support. The bill will next be heard in the Senate Appropriations Committee.
SB 509 Adult and Economic Priority Grant Programs: The bill, sought by the Indiana Commission for Higher Education, would replace the state’s current part time student grant program with a new adult learner grant program and would establish the a new economic priority sector fund. The bill was approved by the Committee and is now eligible for 2nd reading.
Looking Ahead to Next Week
With the deadline for hearing bills in committee falling on Thursday, IU’s team will again be spending many hours in committee hearings. The biennial budget bill, HB 1001, will also be amended in committee and we are very eager to learn the operating funding levels for our campuses as well as capital projects authorization and funding. With the February 25 deadline for 3rd reading of bills looming, it will also be a busy week on the floors of both the Senate and House Chambers.